- Ph.D., Psychology, Queen’s University, 2005
- M.A., Psychology, Queen’s University, 2001
- B.A., (Hon) Psychology, Nipissing University, 1999

Michael Jones
W.K. Estes Professor, Psychological and Brain Sciences
W.K. Estes Professor, Psychological and Brain Sciences
My research focuses on language learning, comprehension, and knowledge representation in humans and machines. I employ a combination of computational and experimental techniques to examine large-scale statistical structure of certain environments (such as language corpora) with the goal of understanding how this structure could be learned and represented with the mathematical capabilities of human learning and memory. This line of my research has applications in machine learning and intelligent systems. The overall premise of my work is that complex behavior often naturally emerges as a product of many simple processors working together at a large scale in response to statistical redundancies in a complex environment.
Under the same unified theme of large-scale statistical learning, I study human associative and recognition memory, categorization, decision making, and the role of attention in reading and perception. I am particularly interested in the temporal dynamics of learning in all these domains, and how to model the time course of knowledge acquisition. My secondary interests involve the application of these models to practical problems in text mining, intelligent search algorithms, and automated comprehension and scoring algorithms.
Taler, V., Johns, B. T., Young, K., Sheppard, C., & Jones, M. N. (2013). A computational analysis of semantic structure in bilingual verbal fluency performance. Journal of Memory and Language, 69(4), 607-618.
McRae, K., & Jones, M. N. (2013). Semantic memory. In D. Reisberg (Ed.) The Oxford Handbook of Cognitive Psychology. Oxford University Press.
Johns, B. T., Jones, M. N., & Mewhort, D. J. K. (2012). A synchronization account of false recognition. Cognitive Psychology, 65, 486-518.
Johns, B. T., Gruenenfelder, T. M., Pisoni, D. B., & Jones, M. N. (2012). Effects of word frequency, contextual diversity, and semantic distinctiveness on spoken word recognition. Journal of the Acoustical Society of America, 132:2, EL74-EL80.
Hills, T. T., Jones, M. N., & Todd, P. T. (2012). Optimal foraging in semantic memory. Psychological Review, 119, 431-440.
Johns, B. T., & Jones, M. N. (2012). Perceptual inference from global lexical similarity. Topics in Cognitive Science, 4:1, 103-120.
Jones, M. N., Johns, B. T., Recchia, G. L. (2012). The role of semantic diversity in lexical organization. Canadian Journal of Experimental Psychology, 66, 121-132.
Johns, B. T., & Jones, M. N. (2010). Evaluating the random representation assumption of lexical semantics in cognitive models. Psychonomic Bulletin & Review, 17, 662-672.
Riordan, B., & Jones, M. N. (2010). Redundancy in linguistic and perceptual experience: Comparing distributional and feature-based models of semantic representation. Topics in Cognitive Science, 3:2, 303-345.
- - -
[1]
Theoretical powder X-ray diffraction pattern
Compound: CaNiP2O7
Radiation: a wavelength of 1.5418 Å
Structure: a cell relaxed with PBE+U
Kinematic intensities with the Lorentz-polarization factor, no thermal factor.

Crystal structure
Cell: 6.4595 6.5603 6.6923 Å, 66.31 87.34 82.55°
Space group P-1 (No. 2)
Unique sites:
Ca1 0.1429 0.2290 0.3259 (multiplicity 2)
Ni1 0.3523 0.4002 0.7235 (multiplicity 2)
P1 0.1433 0.7285 0.2516 (multiplicity 2)
P2 0.3735 0.8575 0.8319 (multiplicity 2)
O1 0.0273 0.3992 0.7795 (multiplicity 2)
O2 0.0679 0.8839 0.3626 (multiplicity 2)
O3 0.2221 0.8897 0.0204 (multiplicity 2)
O4 0.2731 0.7054 0.7539 (multiplicity 2)
O5 0.3307 0.5502 0.3670 (multiplicity 2)
O6 0.3750 0.0989 0.6618 (multiplicity 2)
O7 0.4105 0.2463 0.0616 (multiplicity 2)

Principal peaks in the range 10 to 90 degrees two-theta, most intense first:
(1 2 1), 29.27°, I = 100; (0 0 2), 29.15°, I = 81; (2 0 -1), 31.44°, I = 78; (2 0 1), 31.61°, I = 78; (0 2 1), 27.55°, I = 46; (0 1 1), 16.07°, I = 28; (0 3 2), 43.24°, I = 26; (1 0 -1), 19.99°, I = 21; (0 3 1), 41.80°, I = 19; (1 -2 0), 34.70°, I = 18


[2]
Theoretical powder X-ray diffraction pattern
Compound: CaNi2P2O8
Radiation: a wavelength of 1.5418 Å
Structure: a cell relaxed with PBE+U
Kinematic intensities with the Lorentz-polarization factor, no thermal factor.

Crystal structure
Cell: 17.2657 4.9555 16.7364 Å, 90.00 118.46 90.00°
Space group C2/c (No. 15)
Unique sites:
Ca1 0.1541 0.1777 0.1400 (multiplicity 8)
Ni1 0.0000 0.1550 0.2500 (multiplicity 4)
Ni2 0.0960 0.2104 0.4621 (multiplicity 8)
Ni3 0.2500 0.2500 0.0000 (multiplicity 4)
P1 0.0178 0.2909 0.6127 (multiplicity 8)
P2 0.2157 0.2307 0.3681 (multiplicity 8)
O1 0.0188 0.3988 0.1315 (multiplicity 8)
O2 0.0519 0.1164 0.6984 (multiplicity 8)
O3 0.0779 0.2063 0.9593 (multiplicity 8)
O4 0.0830 0.2464 0.5740 (multiplicity 8)
O5 0.1207 0.2484 0.3564 (multiplicity 8)
O6 0.2209 0.3336 0.2852 (multiplicity 8)
O7 0.2228 0.0820 0.5497 (multiplicity 8)
O8 0.2487 0.4392 0.1048 (multiplicity 8)

Principal peaks in the range 10 to 90 degrees two-theta, most intense first:
(3 1 1), 27.81°, I = 100; (0 0 2), 12.05°, I = 94; (5 1 -3), 31.86°, I = 80; (1 1 -1), 18.89°, I = 75; (3 1 3), 35.89°, I = 66; (0 2 0), 36.26°, I = 61; (2 0 -6), 32.59°, I = 49; (3 1 -5), 32.44°, I = 48; (6 0 2), 43.00°, I = 37; (6 0 -2), 31.45°, I = 35


[3]
Theoretical powder X-ray diffraction pattern
Compound: CaNiP2O7
Radiation: a wavelength of 1.5418 Å
Structure: a cell relaxed with PBE+U
Kinematic intensities with the Lorentz-polarization factor, no thermal factor.

Crystal structure
Cell: 6.3130 6.5564 7.0189 Å, 83.26 89.76 68.20°
Space group P-1 (No. 2)
Unique sites:
Ca1 0.2034 0.2726 0.3758 (multiplicity 2)
Ni1 0.2516 0.8718 0.8042 (multiplicity 2)
P1 0.2533 0.7804 0.3734 (multiplicity 2)
P2 0.3378 0.3410 0.8790 (multiplicity 2)
O1 0.0880 0.9977 0.2614 (multiplicity 2)
O2 0.1426 0.6208 0.4510 (multiplicity 2)
O3 0.1743 0.5840 0.8557 (multiplicity 2)
- - -
(Back to the entry)
Hare, M., Jones, M. N., Thomson, C., Kelly, S., & McRae, K. (2009). Activating event knowledge. Cognition, 111 (2), 151-167.
Recchia, G. L., & Jones, M. N. (2009). More data trumps smarter algorithms: Comparing pointwise mutual information with latent semantic analysis. Behavior Research Methods, 41, 657-663.
Jones, M. N. & Mewhort, D. J. K. (2007). Representing word meaning and order information in a composite holographic lexicon. Psychological Review, 114, 1-37.
Jones, M. N., Kintsch, W., & Mewhort, D. J. K. (2006). High-dimensional semantic space accounts of priming. Journal of Memory and Language, 55, 534-552.